**Wanted**
Now find "Multiplicity:" and "-1.3240" in the contents further below, and set down these two lines and those between.
**Listing**
# C3H4FIO

The molecule C3H4FIO at a distorted geometry (the ωB97M-V functional and the def2-TZVPD basis, the Open Molecules 2025 dataset).

Computed properties:
Largest force on an atom = 0.157 Eh/bohr
LUMO level (alpha / beta) = 0.62 / 0.62 eV
SMILES = CO/C(F)=C/I
Energy above the lowest of the compared OMol25 structures with the same formula, charge and spin = 66.7 kcal/mol
Electronic energy = -16038.0086 eV

Positions of all 10 atoms, in Å:
C -0.1543 -1.9239 -0.8309
C 0.1346 -0.3997 -0.3864
C -0.2267 1.4743 1.0013
O -0.8173 0.3415 0.2698
F 1.3382 0.0954 -0.3276
I 1.3859 -2.6722 -2.0401
H -1.1286 -1.9842 -1.1677
H 0.4819 2.0038 0.3097
H 0.1716 0.9397 1.8506
H -1.1854 2.1252 1.3211

=====

Molecular formula: C21H31O3Sm
Method: DFT, wB97M-V/def2-TZVPD

CARTESIAN COORDINATES (ANGSTROEM)
1 Sm 0.5454 -1.1439 -2.2925
2 O 0.3459 3.2541 -4.7000
3 O 1.0958 0.3484 -0.5842
4 O 0.6122 -0.8500 -5.2379
5 C -0.8675 2.5180 -4.3375
6 C -2.2439 -0.9899 -0.9082
7 C 0.6988 -1.4757 -6.6302
8 C 1.9281 -2.3125 -6.8696
9 C -2.4542 0.1721 -1.7155
10 C 2.5667 -2.5897 -2.0063
11 C -1.3368 4.9180 -4.0893
12 C 2.4642 -1.8255 -0.7857
13 C 0.9344 -0.1294 -7.4019
14 C -1.2478 0.7859 0.1252
15 C 2.5925 2.1287 -0.0084
16 C -1.8126 1.2521 -1.0801
17 C 0.1518 4.4932 -3.8490
18 C -1.4249 -0.6056 0.1834
19 C 1.4553 -3.5041 -2.0190
20 C 1.3354 -2.2925 -0.0579
21 C 0.6697 -3.2749 -0.8380
22 C 0.9659 0.3690 -5.9933
23 C -0.5718 -2.1864 -7.0186
24 C -1.9352 3.5420 -4.5831
25 C 1.6066 1.4231 -0.9293
26 H 3.1948 -1.0758 -0.4569
27 H 2.2104 3.1025 0.3082
28 H -0.2933 -3.7352 -0.6024
29 H -1.4338 5.6782 -4.9218
30 H -0.7514 -2.9802 -6.2972
31 H -1.1390 1.5641 -4.8247
32 H -0.4621 -2.6458 -8.0088
33 H 0.2423 1.1609 -5.9057
34 H 2.0260 -3.1052 -6.1378
35 H 1.0976 -2.0247 0.9708
36 H 1.9169 0.7094 -5.5971
37 H 2.7279 1.5190 0.9086
38 H 0.8833 5.3020 -4.0094
39 H 3.4168 -2.5521 -2.6978
40 H 1.9004 -2.7641 -7.8642
41 H 2.8192 -1.6896 -6.8389
42 H -0.7712 2.2727 -3.2880
43 H -3.0766 0.2356 -2.5946
44 H -0.8373 1.4399 0.8945
45 H -2.9057 3.2748 -4.1781
46 H -2.0103 3.5853 -5.6691
47 H -1.0079 -1.2727 0.9298
48 H -2.7576 -1.9467 -0.9815
49 H -1.8648 5.2870 -3.1625
50 H 3.5313 2.3027 -0.5586
51 H 0.0832 0.2862 -7.9799
52 H 1.8894 0.0212 -7.9492
53 H 1.2888 -4.2610 -2.7878
54 H -1.7870 2.2862 -1.3940
55 H 0.2472 4.1515 -2.7765
56 H -1.4184 -1.4938 -7.0524

## Properties
HOMO energy (spin up / spin down), eV: -6.12 / -6.56
HOMO-LUMO gap (spin up / spin down), eV: 5.38 / 6.67
Multiplicity: 6
Net charge: 0

***

Molecular formula: C21H31O3Zr
Method: DFT, wB97M-V/def2-TZVPD

CARTESIAN COORDINATES (ANGSTROEM)
1 Zr -0.3859 -0.6520 2.0607
2 O 0.9250 2.1690 2.6438
3 O 1.2114 1.7503 -1.3240
4 O 0.3705 -0.4144 -2.8332
5 C 0.9250 3.1037 -0.8072
6 C 0.4392 0.1215 -4.9758
7 C 0.4139 0.8082 -3.6343
8 C 0.8040 1.2216 3.3948
9 C 1.6819 -1.9769 -4.2546
10 C 0.4189 -1.1513 -4.1088
11 C 1.0217 -1.8367 3.4632
12 C -1.1962 1.9650 -1.1531
13 C -1.7150 0.3843 3.7470
14 C -0.5443 3.3603 -1.2200
15 C -2.2065 0.8000 2.4646
16 C 0.0083 1.0765 -0.7256
17 C -2.7106 -0.3736 1.7909
18 C -2.5741 -1.4835 2.6901
19 C -1.9845 -1.0162 3.8983
20 C 1.8686 -1.1203 2.5433
21 C 1.3103 1.1405 4.7994
22 C -0.8328 -1.9664 -4.3580
23 C 0.6638 -2.6815 1.3250
24 C 0.2761 -2.8041 2.7015
25 C 1.6549 -1.6490 1.2301
26 H -0.5744 3.8306 -2.2059
27 H -1.0416 4.0267 -0.5052
28 H -1.7226 -1.3320 -4.2351
29 H -3.2033 -0.3852 0.8284
30 H 1.6512 -2.7923 -3.5265
31 H -0.4836 0.3088 -5.5304
32 H 1.0647 -1.7602 4.5433
33 H 0.7344 0.3983 5.3625
34 H 2.6651 -0.4317 2.8104
35 H 1.2078 2.1236 5.2891
36 H -2.0110 1.8674 -0.4358
37 H -0.0882 0.0111 -1.0109
38 H 2.2310 -1.3839 0.3392
39 H 1.6470 3.8113 -1.2315
40 H -2.9351 -2.4904 2.5009
41 H 1.3280 0.3587 -5.5694
42 H -0.4202 -3.5333 3.1105
43 H 1.3078 1.3724 -3.4040
44 H -0.8427 -2.8047 -3.6543
45 H 1.7322 -2.4247 -5.2579
46 H 2.5909 -1.3695 -4.1040
47 H -1.6039 1.6737 -2.1305
48 H -0.4724 1.4349 -3.5083
49 H 0.3481 -3.3378 0.5106
50 H 0.1197 1.1777 0.4232
51 H 2.3702 0.8411 4.7828
**Result**
Multiplicity: 6
Net charge: 0

***

Molecular formula: C21H31O3Zr
Method: DFT, wB97M-V/def2-TZVPD

CARTESIAN COORDINATES (ANGSTROEM)
1 Zr -0.3859 -0.6520 2.0607
2 O 0.9250 2.1690 2.6438
3 O 1.2114 1.7503 -1.3240